Court orders Prague High Prosecutor Rampula to leave post

Vlastimil Rampula, photo: CTK

The Prague High Prosecutor Vlastimil Rampula will have to leave his post once again after the Supreme Administrative Court ruled that he made serious errors in the execution of his duties. The court thus settled the latest stage in a dispute between Rampula and Justice Minister Jiří Pospíšil, who sacked him for influencing a number of high-profile political cases.

Vlastimil Rampula,  photo: CTK
The Supreme Administrative Court found on Tuesday that the Prague High Prosecutor accumulated multiple mistakes in multiple cases, including some of the biggest cases of alleged corruption of the last decade - namely the purchase of Gripen fighter jets from Sweden and the infamous case of the bankrupt IPB bank.

With regards to IPB bank, Vlastimil Rampula was cited for ordering another prosecutor not to immediately appeal the acquittal of seven of the bank’s managers. By impeding a case without sufficient groundwork available to him, Rampula violated principles of transparency and expertise, the court said. In this case, however, the court also laid in to the other prosecutor for heeding the order, saying that the institute of state prosecution “must not be a collection of colourless, anonymous officials waiting for orders, with no responsibility of their own. The transfer of IPB from the state to its rival ČSOB is believed to have cost taxpayers upwards of 34 billion crowns.

In the case of the Swedish fighter jets though, Mr Rampula was cited for not following orders himself. Having received a clear order from the then Supreme State Prosecutor to keep the case open and expand the substantiation in numerous states, Rampula and others failed to do so in Sweden, where the aircraft were manufactured. According to the judge, Rampula claimed that they would not have found anything out in Sweden anyway. Josef Baxa was the presiding judge in the trial and told Czech Radio where he found the prosecutor’s mistakes:

Records of crystals, kept here for reference:
........
Starting from DFT lattice parameters and positions (PBE+U), the powder XRD pattern of CrPbIO6 was calculated for Cu Kα (λ = 1.5418 Å).

Cell and atoms:
a b c (Å): 5.248 5.248 5.445
angles (deg): 90.00 90.00 120.00
Atoms (fractional coordinates):
1 Cr 0.000 0.000 0.000
2 Pb 0.667 0.333 0.500
3 I 0.333 0.667 0.000
4 O 0.051 0.348 0.199
5 O 0.051 0.703 0.801
6 O 0.297 0.348 0.801
7 O 0.297 0.949 0.199
8 O 0.652 0.703 0.199
9 O 0.652 0.949 0.801

Most intense lines, 2θ from 5° to 70°, by angle:
d/Å  I/Imax  (hkl)
4.545  14  1 0 0
3.489  100  1 0 1
2.624  29  1 1 0
2.097  23  2 0 1
1.889  34  2 -1 2
1.686  11  1 0 3
1.638  22  3 -1 1
1.515  9  3 0 0

* * * * *

Simulated X-ray diffraction stick pattern
Compound: Rb2TlSbCl6
Radiation: Cu Kα (weighted mean of Kα1 and Kα2)
Structure: a crystal structure in the Materials Project, relaxed with PBE

Crystal structure
```
data_Rb2TlSbCl6
_chemical_formula_sum 'Rb8 Tl4 Sb4 Cl24'
_cell_length_a 11.3901
_cell_length_b 11.3901
_cell_length_c 11.3901
_cell_angle_alpha 90.00
_cell_angle_beta 90.00
_cell_angle_gamma 90.00
_space_group_name_H-M_alt 'F m -3 m'
_space_group_IT_number 225
_space_group_name_Hall '-F 4 2 3'
loop_
_atom_site_label
_atom_site_fract_x
_atom_site_fract_y
_atom_site_fract_z
_atom_site_occupancy
Rb1 0.2500 0.2500 0.2500 1
Tl1 0.0000 0.0000 0.0000 1
Sb1 0.0000 0.0000 0.5000 1
Cl1 0.0000 0.0000 0.2664 1
```

Principal peaks in the range 2θ = 15–90°, by angle:
index, d [Å], I (rel.)
2 0 0, 5.695, 32
2 2 0, 4.027, 100
4 0 0, 2.848, 58
4 2 2, 2.325, 47
4 4 0, 2.014, 40
6 2 0, 1.801, 24
6 4 2, 1.522, 27
8 4 0, 1.273, 17

* * * * *

# 1
Starting from a GGA-PBE-relaxed structure, the powder diffraction line list of Rb2Cd2SbP was simulated for copper Kα.

Cell: 4.6833 4.6833 10.7764 Å, 90.00 90.00 120.00°
Space group P-6m2 (No. 187)
Asymmetric unit:
Rb 0.0000 0.0000 0.2396 (multiplicity 2)
Cd 0.3333 0.6667 0.5000 (multiplicity 1)
Cd 0.6667 0.3333 0.0000 (multiplicity 1)
Sb 0.6667 0.3333 0.5000 (multiplicity 1)
P 0.3333 0.6667 0.0000 (multiplicity 1)

Peak list (10 most intense, 10° ≤ 2θ ≤ 90°, sorted by position)
2θ = 16.45°, intensity 19
2θ = 27.53°, intensity 100
2θ = 33.26°, intensity 24
2θ = 38.44°, intensity 45
2θ = 42.07°, intensity 10
2θ = 47.93°, intensity 21
2θ = 51.72°, intensity 37
2θ = 55.99°, intensity 12
2θ = 63.05°, intensity 18
2θ = 79.29°, intensity 10


# 2
Starting from a GGA-PBE-relaxed structure, the powder diffraction line list of Rb4TlCd2Pb was simulated for copper Kα.

Cell: 5.936 5.936 8.500 Å, 90.00 90.00 90.00°
Space group P-4m2 (No. 115)
Asymmetric unit:
Rb 0.000 0.000 0.000 (multiplicity 1)
Rb 0.000 0.500 0.248 (multiplicity 2)
Rb 0.500 0.500 0.500 (multiplicity 1)
Tl 0.500 0.500 0.000 (multiplicity 1)
Cd 0.000 0.500 0.747 (multiplicity 2)
Pb 0.000 0.000 0.500 (multiplicity 1)

Peak list (10 most intense, 10° ≤ 2θ ≤ 90°, sorted by position)
2θ = 18.23°, intensity 18
2θ = 29.92°, intensity 100
2θ = 30.11°, intensity 49
2θ = 43.10°, intensity 18
2θ = 53.00°, intensity 20
........

“It was an odd combination of action and inaction. First of all, there was a set of things that he, as a leading state prosecutor, did not react to and thus accumulated errors in the work of his subordinates… in spite of having been informed of the fact through numerous checks made by the supreme state prosecutor. Or in some cases he trivialised the problems and led long discussions over them. In addition to that, he remained inactive on obvious orders from the former supreme state prosecutor in the case of the Gripens, and did not ask for assistance from Sweden. And lastly he rejected an order from the supreme state prosecutor to provide certain analytical data on the activities of his elite department.”

Josef Baxa,  photo: CTK
Vlastimil Rampula himself has declined to comment on the decision until he receives the judgement in writing. The verdict of the Supreme Administrative Court however is the opposite of that reached earlier this year by the Municipal Court of Prague, which will have to review the matter again. The administrative judges rebuked the lower court for dealing with the Justice Minister’s reasons for sacking Rampula individually, rather than in a wider context. The mistakes he made, said the court, affected the running of an elite institute dealing with serious cases of economic and financial crime.